
Wednesday, February 20, 2013

Be Kind To Yourself

I stayed up far too late last night, and the night before.

I was teaching Thomas how to use Pinterest (he has so many great pins).

But, really, I was doing more than that. I was spending time with my husband. I was sharing something I knew he would love. I was investing my time in us.

This morning when the alarm clock went off at 5am, I did not want to get out of bed. And I didn't. I snuggled up close to Thomas, let his warmth envelop me, and went back to sleep for two glorious hours. Together.

When I did get out of bed, I did not bemoan my laziness. I did not tell myself all of the things I should have been doing instead of sleeping. I sat at the computer, and mentally rearranged my to-do list. Striking off anything that wasn't necessary, I was finished with all my tasks in time to start school.

I felt better for the extra rest, and I felt better for the time spent with my husband.

Tonight I will go to bed earlier, and tomorrow I will wake up on time.

But for today, deviating from my schedule was a good thing. And giving myself the space to do that without stressing about it was even better.

How have you been kind to yourself lately?


Today I am at Just Be Enough sharing 5 things I am doing to nurture myself this year.

I would love to hear your thoughts on it.


  1. Thank you so much for posting this. It was something I really needed to hear. This is something I really need to work on right now.

    1. I'm so happy this found you on the right day.

      You deserve kindness.

  2. Sleep.
    Kind thoughts.
    High Five for just making it through the day.

    Oh, and water. Water is so good for you.

    1. Water is a huge thing!! I get headaches when I don't drink enough of it during the day, and I also feel much more tired.

      Making it through the day definitely deserves a high five.

  3. If we don't show ourselves kindness, how can we expect anyone else to show us kindness? Good for you for taking care of yourself!

  4. Good for you. I set my alarm for 5:00 as well but I am really tough on myself if I can't get up. You made a choice of people over tasks which is awesome. You gave your hubby your time and attention which is so important and you gave yourself the same love. I'm proud of you and I hope to learn from your choice.

    1. Choosing people over tasks. I love that.

      Thank you. It means so much much to me.

      I hope you are able to be less tough on yourself on those mornings when you might need a little extra time.

Data records, as found in the file.
........
[1]
DFT (PBE) results for SrRuF6 after structural relaxation.

a b c (Å): 5.488 5.488 5.244
angles (deg): 90.00 90.00 120.00
Sites, in units of the cell vectors:
Sr  0.000  0.000  0.000
Ru  0.667  0.333  0.500
F  0.378  0.047  0.720
F  0.378  0.331  0.280
F  0.669  0.047  0.280
F  0.669  0.622  0.720
F  0.953  0.331  0.720
F  0.953  0.622  0.280

## Properties
Crystal system: trigonal
Uncorrected energy (eV/atom): -5.34

[2]
DFT (PBE) results for Be3IrPt after structural relaxation.

a b c (Å): 4.123 4.123 4.123
angles (deg): 90.00 90.00 90.00
Sites, in units of the cell vectors:
Be  0.000  0.000  0.500
Be  0.000  0.500  0.000
Be  0.500  0.000  0.000
Ir  0.000  0.000  0.000
Pt  0.500  0.500  0.500

## Properties
Crystal system: cubic
ΔE to the lowest computed polymorph (eV/atom): 0.000

[3]
DFT (PBE) results for Y3C5 after structural relaxation.

a b c (Å): 3.514 3.514 9.811
angles (deg): 90.00 90.00 90.00
Sites, in units of the cell vectors:
Y  0.000  0.000  0.000
Y  0.500  0.500  0.303
Y  0.500  0.500  0.697
C  0.000  0.000  0.363
C  0.000  0.000  0.500
C  0.000  0.000  0.637
C  0.500  0.500  0.070
C  0.500  0.500  0.930

## Properties
Crystal system: tetragonal
ΔE to the lowest computed polymorph (eV/atom): 0.000

It is found that the density of states at the Fermi level values, taken in the order of the records, are 7.86; 2.03; 1.91 states/eV/cell.
It is found that the mass density values, taken in the order of the records, are 3.675; 9.819; 4.479 g/cm³.


## w
FeSF3 (PBE with a Hubbard U, optimized geometry); space-group type = Pm-3m (221); magnetization = 2.49 μB per formula unit; DOS at the Fermi energy = 0.79 states/eV/atom
1.0
-2.686 0.036 3.069
-1.423 -3.628 -1.203
2.719 -1.863 2.401
F S Fe
3 1 1
Cartesian
-1.343 0.018 1.534 F
1.360 -0.931 1.201 F
-0.711 -1.814 -0.601 F
-0.694 -2.727 2.134 S
0.000 0.000 0.000 Fe

## x
FeSF3 (PBE with a Hubbard U, optimized geometry); space-group type = Pm-3m (221); magnetization = 3.86 μB per formula unit; DOS at the Fermi energy = 3.07 states/eV/atom
1.0
4.288 0.000 0.000
0.000 4.288 0.000
0.000 0.000 4.288
Fe F S
1 3 1
Cartesian
2.144 2.144 2.144 Fe
2.144 0.000 0.000 F
0.000 0.000 2.144 F
0.000 2.144 0.000 F
0.000 0.000 0.000 S

Energies relative to the most stable structure, in eV/atom: w 0.000; x 1.097.

## w
Fe3SbF (PBE with a Hubbard U, optimized geometry); space-group type = Pm-3m (221); magnetization = 10.00 μB per formula unit; DOS at the Fermi energy = 1.35 states/eV/atom
1.0
-4.554 -2.092 0.123
0.360 -1.069 -4.884
2.065 -4.428 1.121
Fe F Sb
3 1 1
Cartesian
-2.277 -1.046 0.061 Fe
0.180 -0.535 -2.442 Fe
1.032 -2.214 0.561 Fe
-1.065 -3.795 -1.820 F
0.000 0.000 0.000 Sb

## x
Fe3SbF (PBE with a Hubbard U, optimized geometry); space-group type = Pm-3m (221); magnetization = 10.04 μB per formula unit; DOS at the Fermi energy = 0.32 states/eV/atom
1.0
-1.335 4.023 0.638
-0.801 0.399 -4.192
-3.994 -1.424 0.628
Fe F Sb
3 1 1
Cartesian
-0.401 0.200 -2.096 Fe
-1.997 -0.712 0.314 Fe
........
Here the article continues.

  5. I have a hard time deviating from my schedule too, esp when it comes to D's nap times. But today I allowed myself to be spontaneous and go to a friend's house for lunch and you know what? The world (and my toddler) did not fall apart. This was such a timely post for me!

    1. Oooh. I remember the nap time years. I was crazy strict about never missing nap time or bed time when Katarina was little.

      I love that embraced the spontaneity this week, and had a fun lunch with a friend.

  6. OH see I am always up too late, up too early and feel like crap from lack of sleep. When Gene is home he lets me sleep in, but lately his hours at work have sucked majorly, nearly 80 hours last week alone..

    1. Sleeping in is nice. I hope Gene's hours slow down to a manageable level - it is hard to keep going with a schedule like that.

  7. Time with hubby is super sweet and mostly likely the most important thing you could be choosing to do! So yey for you for that! :)

    And put me to shame!!!! Your 'sleeping in' constitutes what I'm trying to do by "waking up early" at 7, haha! I will have to remember that next time I'm tempted with the snooze button ;)
